B.O.S.T. Portland
(This story was originally written for a non RFA/RN audience)
By 7a.m. the ships company have been fed and watered. Dressed in full “wartime” regalia, toting “ditty bags” and strung around with all the “survival” gear we are “ready”. Even with names/ranks printed on the boiler suits the crew are as identifiable as a team of Daleks. Except for our Captain, who is “of short stature” and has an Olympic size belly. Nice to recognize the one who makes the decisions.
This is (as usual) to be a “co-ordinated” departure. That is all the ships have to leave the harbour entrance in a pre-determined sequence, at a pre-determined time and be 1000 yards apart, and be in line astern. This is a doddle for the war canoes, but can be bloody difficult for a 30,000 ton replenishment ship that is on a buoy and invariably pointing the wrong way. OK, we are on a “slip-rope” and the buoy jumpers and their boat are safely back on board. But we still have to turn around and slot into our allocated place in the procession. And assuming we manage that, there is a hard right turn immediately on clearing the entrance piers. Again, a doddle for frigates and destroyers but a tad awkward for a 660 foot long ship. By the time our stern can swing clear of the stonework we are hopelessly out of line. But until hinges are fitted to the hull we have no option.
As soon as this armada is clear of the main channel entrance buoy the game begins. Naturally, there are 2 sides. “Us and Them”. Blue and Red in those days, but now are probably deemed to be Pink and Eau-de-Nil or something. Our “opposing” forces include one or more submarines, FPBs and aircraft. There may be other surface units also tossed into the mix. But the aircraft are worthy of a mention as they are probably the main “threat”. Designated “Falcons”, they are in fact ex RAF Hawker Hunters (now owned by a private company) and flown by “geriatric” ex RAF pilots (probably about 40 years old of so). And these guys really know what they are doing.
Hawker Hunter
Some of them even flew with the Red Arrows…probably when they used the Hunters. By now all the ships are at “Action Stations”. Guns and decoy rockets manned…guns not loaded, but the decoys may be. Naturally enough the first attack is from the air. For a “first timer” on deck seeing a Hunter screeching in very low at over 400 knots with vortices swirling off its wing tips it is a bit of an exciting heart stopper. And this goes on (and off) for a few hours. Of course we get hit. People get injured; killed or worse (they might miss their “action snacks”). You will realise by now that the Corps of Sadists have a team on each ship intent on making life as awkward as is inhumanly possible. (On good authority, I hear that on leaving the RN many of them get jobs with local councils and are in charge of wheelie bins and car parking).
Attached: molecular data
- - -
## A
Molecular formula: C14H19N3O
Method: DFT, wB97M-V/def2-TZVPD

Output
Kohn-Sham gap: 9.25 eV

The geometry in ORCA input format:
```
! RIJCOSX wB97M-V def2-TZVPD def2/J DEFGRID3
* xyz 0 1
C 4.981 -0.029 -0.215
C 4.068 0.499 -1.314
C 2.891 -0.447 -1.574
C 2.013 -0.605 -0.346
O 1.912 -1.646 0.276
N 1.366 0.522 0.017
C 0.452 0.582 1.148
C 0.600 1.923 1.858
C -0.952 0.398 0.655
N -1.644 1.362 0.111
C -2.843 0.803 -0.243
C -3.958 1.370 -0.851
C -5.042 0.552 -1.087
C -5.032 -0.799 -0.731
C -3.937 -1.381 -0.127
C -2.840 -0.567 0.112
N -1.610 -0.800 0.676
C -1.135 -2.058 1.185
H 4.429 -0.148 0.715
H 5.388 -0.998 -0.492
H 5.807 0.656 -0.042
H 3.695 1.487 -1.034
H 4.638 0.611 -2.239
H 2.283 -0.068 -2.398
H 3.267 -1.435 -1.842
H 1.368 1.325 -0.591
H 0.730 -0.241 1.813
H 0.254 2.720 1.205
H 1.640 2.093 2.127
H -0.005 1.933 2.760
H -3.962 2.413 -1.122
H -5.925 0.960 -1.557
H -5.906 -1.401 -0.933
H -3.941 -2.425 0.148
H -1.693 -2.863 0.711
H -0.075 -2.184 0.954
H -1.279 -2.119 2.267
*
```

Results of the natural (NBO) charge analysis, in e, for atoms 1 through 8: C -0.609; C -0.381; C -0.494; C 0.692; O -0.649; N -0.610; C -0.104; C -0.601

=====

## B
Molecular formula: C14H19N3O
Method: DFT, wB97M-V/def2-TZVPD

Output
Kohn-Sham gap: 8.38 eV

The geometry in ORCA input format:
```
! RIJCOSX wB97M-V def2-TZVPD def2/J DEFGRID3
* xyz 0 1
C -4.756 -1.100 0.896
C -4.249 -0.648 -0.471
N -3.297 0.424 -0.345
C -3.612 1.747 -0.212
C -2.429 2.406 -0.051
N -1.401 1.521 -0.072
C -1.944 0.341 -0.242
C -1.177 -0.941 -0.356
O -1.649 -1.846 0.638
C 0.297 -0.664 -0.228
C 0.848 -0.386 1.017
C 2.195 -0.136 1.156
C 3.050 -0.132 0.046
N 4.406 0.078 0.206
C 4.899 1.044 1.160
C 5.309 -0.152 -0.893
C 2.486 -0.420 -1.202
C 1.137 -0.682 -1.330
H -5.489 -1.894 0.778
H -5.217 -0.269 1.425
H -3.920 -1.473 1.483
H -5.082 -0.296 -1.088
H -3.764 -1.486 -0.975
H -4.624 2.094 -0.251
H -2.249 3.454 0.077
H -1.378 -1.382 -1.353
H -0.934 -2.457 0.847
H 0.207 -0.370 1.886
H 2.590 0.045 2.144
H 5.345 1.901 0.642
H 4.094 1.415 1.787
H 5.665 0.591 1.797
H 5.282 0.649 -1.645
H 5.075 -1.100 -1.375
H 6.323 -0.214 -0.496
H 3.097 -0.422 -2.090
H 0.730 -0.891 -2.310
*
```

Results of the natural (NBO) charge analysis, in e, for atoms 1 through 8: C -0.616; C -0.202; N -0.334; C -0.106; C -0.093; N -0.456; C 0.319; C 0.056

=====

Here is how they stack up, most stable first: A, B.

* * * * *

[1]
Entry from OMol25: a molecular structure, C29H43FMnN4O3Si in a non-equilibrium geometry (ωB97M-V/def2-TZVPD).

The orbital gap (alpha / beta) is 5.2 / 5.3 eV. As for the spin multiplicity: 2. Its total charge is +2. Its HOMO energy (alpha / beta) is -0.4866 / -0.4866 Ha. The expectation value of S² is 0.843.

CARTESIAN COORDINATES (ANGSTROEM)
H -6.201 -2.100 -2.037
H 5.220 1.230 -0.374
H 4.473 -1.499 3.021
C -2.727 -0.368 -2.348
H 4.436 3.142 0.974
H -4.370 -2.693 -0.412
H 0.066 -4.790 1.806
H -2.153 0.156 -5.707
C 2.687 -4.356 3.487
H -0.552 -2.273 4.134
C -1.588 2.153 -0.280
H -2.033 0.270 4.101
- - -
All the evolutions and exercises done during the previous weeks in more or less isolation now come all at once. Fires, Damage Control (shoring up bulkheads and stuff), medical teams treating the wonderfully and realistically (and overacting) casualties. Lose electrical power, steering gear breakdown. Bridge team decimated (Captains love this as they can toddle off for a brandy or something). All this chucks the ships organisation out of the window. Although nowadays the job of NBCDO is the province of the Chief Engineer (now Captain (E)), in those days it was the 1/Off(X) who was the NBCDO. Me. It was always impossible to not get carried away with the tension and “realism” of all this. Totally and utterly knackering for everyone on board (except Capt. Pugwash).
RFA Black Rover
under attack in a Thursday War
All the courses and shore training do not prepare you for your first exposure to a Portland War. Anti-submarine zig-zags (timed to the second to avoid collisions), anti-torpedo evasive manoeuvres, blah, blah, blah. And then it is all over, and we have to revert to normal behaviour before entering harbour for “wash-ups”.
These de-briefings are done in front of the entire ships company (except those who really have to be someplace else). No-one, of whatever rank is excused having their shortcomings (or, indeed, good points) made public. Can be quite humiliating. But with a few reservations we come out of it all with a “Sat” (satisfactory), which is OK. I have only ever been on one ship that got a “Good”, and that was really because the ships company had been together for a few months rather than a couple of weeks.
I’m sure I have inadvertently left a lot out here, but I hope you got “the feel” of it.